Material =
- - -
(1)
Below is a relaxed structure of Rb2Pd3S4, with properties calculated at the r²SCAN level.

Structure (extended XYZ):
```
18
Lattice="0.0000 5.4087 13.4622 3.0813 0.0000 13.4622 3.0813 5.4087 0.0000" Properties=species:S:1:pos:R:3 pbc="T T T"
Rb 0.7703 1.3522 1.2381
Rb 0.7703 1.3522 5.4930
Rb 5.3923 9.4652 21.4314
Rb 5.3923 9.4652 25.6863
Pd 2.3110 4.0565 3.3773
Pd 2.3110 4.0565 10.0967
Pd 3.8516 6.7609 10.1084
Pd 2.3110 4.0565 16.8160
Pd 3.8516 6.7609 16.8278
Pd 3.8516 6.7609 23.5471
S 2.2898 2.2622 8.5625
S 2.3321 2.2622 11.6308
S 3.8728 4.9666 15.2936
S 2.3321 5.8508 8.5625
S 3.8305 4.9666 18.3619
S 2.2898 5.8508 11.6308
S 3.8305 8.5552 15.2936
S 3.8728 8.5552 18.3619
```

DFT total energy ... -273.10 eV/cell
Symmetry ... No. 70


(2)
Below is a relaxed structure of Ti2RePd, with properties calculated at the r²SCAN level.

Structure (extended XYZ):
```
4
Lattice="0.0000 3.1215 3.1215 3.1215 0.0000 3.1215 3.1215 3.1215 0.0000" Properties=species:S:1:pos:R:3 pbc="T T T"
Ti 1.5607 1.5607 1.5607
Ti 4.6822 4.6822 4.6822
Re 0.0000 0.0000 0.0000
Pd 3.1215 3.1215 3.1215
```

DFT total energy ... -103.35 eV/cell
Symmetry ... No. 225


(3)
Below is a relaxed structure of Tb2PdRh, with properties calculated at the r²SCAN level.

Structure (extended XYZ):
```
4
Lattice="0.0000 3.4581 3.4581 3.4581 0.0000 3.4581 3.4581 3.4581 0.0000" Properties=species:S:1:pos:R:3 pbc="T T T"
Tb 1.7290 1.7290 1.7290
Tb 5.1871 5.1871 5.1871
Pd 0.0000 0.0000 0.0000
Rh 3.4581 3.4581 3.4581
```

DFT total energy ... -113.20 eV/cell
Symmetry ... No. 225


(4)
Below is a relaxed structure of Tm2PdRh, with properties calculated at the r²SCAN level.

Structure (extended XYZ):
```
4
Lattice="0.0000 3.3946 3.3946 3.3946 0.0000 3.3946 3.3946 3.3946 0.0000" Properties=species:S:1:pos:R:3 pbc="T T T"
Tm 1.6973 1.6973 1.6973
Tm 5.0919 5.0919 5.0919
Pd 0.0000 0.0000 0.0000
Rh 3.3946 3.3946 3.3946
```

DFT total energy ... -121.34 eV/cell
Symmetry ... No. 225


(5)
Below is a relaxed structure of U2Pd3Rh3, with properties calculated at the r²SCAN level.

Structure (extended XYZ):
```
8
Lattice="3.9305 0.0000 0.0000 0.0000 4.0492 0.0000 0.0000 0.0000 8.3763" Properties=species:S:1:pos:R:3 pbc="T T T"
U 0.0000 0.0000 2.0368
U 0.0000 0.0000 6.3395
Pd 0.0000 2.0246 0.0000
Pd 0.0000 2.0246 4.1881
Pd 1.9653 0.0000 4.1881
Rh 1.9653 0.0000 0.0000
Rh 1.9653 2.0246 2.0997
Rh 1.9653 2.0246 6.2766
```

DFT total energy ... -306.62 eV/cell
Symmetry ... No. 47


(6)
Below is a relaxed structure of Yb2PdRh, with properties calculated at the r²SCAN level.

Structure (extended XYZ):
```
4
Lattice="0.0000 3.3817 3.3817 3.3817 0.0000 3.3817 3.3817 3.3817 0.0000" Properties=species:S:1:pos:R:3 pbc="T T T"
Yb 1.6908 1.6908 1.6908
Yb 5.0725 5.0725 5.0725
Pd 0.0000 0.0000 0.0000
Rh 3.3817 3.3817 3.3817
```

DFT total energy ... -124.29 eV/cell
Symmetry ... No. 225

----------

Material: NaMnH3O3
Method: DFT, GGA+U
State: optimized geometry

```
data_NaMnH3O3
_symmetry_space_group_name_H-M 'P 42 b c'
_symmetry_Int_Tables_number 106
_cell_length_a 11.5135
_cell_length_b 11.5135
_cell_length_c 6.0569
_cell_angle_alpha 90.00
_cell_angle_beta 90.00
_cell_angle_gamma 90.00
loop_
_symmetry_equiv_pos_as_xyz
'x,y,z'
'-y,x,z+1/2'
'-x,-y,z'
'y,-x,z+1/2'
'-x+1/2,y+1/2,z'
'y+1/2,x+1/2,z+1/2'
'x+1/2,-y+1/2,z'
'-y+1/2,-x+1/2,z+1/2'
loop_
_atom_site_label
_atom_site_type_symbol
_atom_site_fract_x
_atom_site_fract_y
_atom_site_fract_z
Na1 Na 0.0638 0.1176 0.0000
Mn1 Mn 0.0711 0.2896 0.4706
H1 H 0.1234 0.6522 0.2913
H2 H 0.1231 0.8387 0.1810
H3 H 0.2146 0.2419 0.1455
O1 O 0.0836 0.1244 0.6126
O2 O 0.1017 0.7086 0.4039
O3 O 0.1423 0.2877 0.1484
```

- calculated volume (A^3/atom) = 12.5
- VASP energy (Ha/atom) = -0.2009
- DFT formation energy (meV per atom) = -1496
- - -
Brief =
Could you quote the whole of the contents earlier on word for word?
Solution =
(1)
Below is a relaxed structure of Rb2Pd3S4, with properties calculated at the r²SCAN level.

Structure (extended XYZ):
```
18
Lattice="0.0000 5.4087 13.4622 3.0813 0.0000 13.4622 3.0813 5.4087 0.0000" Properties=species:S:1:pos:R:3 pbc="T T T"
Rb 0.7703 1.3522 1.2381
Rb 0.7703 1.3522 5.4930
Rb 5.3923 9.4652 21.4314
Rb 5.3923 9.4652 25.6863
Pd 2.3110 4.0565 3.3773
Pd 2.3110 4.0565 10.0967
Pd 3.8516 6.7609 10.1084
Pd 2.3110 4.0565 16.8160
Pd 3.8516 6.7609 16.8278
Pd 3.8516 6.7609 23.5471
S 2.2898 2.2622 8.5625
S 2.3321 2.2622 11.6308
S 3.8728 4.9666 15.2936
S 2.3321 5.8508 8.5625
S 3.8305 4.9666 18.3619
S 2.2898 5.8508 11.6308
S 3.8305 8.5552 15.2936
S 3.8728 8.5552 18.3619
```

DFT total energy ... -273.10 eV/cell
Symmetry ... No. 70


(2)
Below is a relaxed structure of Ti2RePd, with properties calculated at the r²SCAN level.

Structure (extended XYZ):
```
4
Lattice="0.0000 3.1215 3.1215 3.1215 0.0000 3.1215 3.1215 3.1215 0.0000" Properties=species:S:1:pos:R:3 pbc="T T T"
Ti 1.5607 1.5607 1.5607
Ti 4.6822 4.6822 4.6822
Re 0.0000 0.0000 0.0000
Pd 3.1215 3.1215 3.1215
```

DFT total energy ... -103.35 eV/cell
Symmetry ... No. 225


(3)
Below is a relaxed structure of Tb2PdRh, with properties calculated at the r²SCAN level.

Structure (extended XYZ):
```
4
Lattice="0.0000 3.4581 3.4581 3.4581 0.0000 3.4581 3.4581 3.4581 0.0000" Properties=species:S:1:pos:R:3 pbc="T T T"
Tb 1.7290 1.7290 1.7290
Tb 5.1871 5.1871 5.1871
Pd 0.0000 0.0000 0.0000
Rh 3.4581 3.4581 3.4581
```

DFT total energy ... -113.20 eV/cell
Symmetry ... No. 225


(4)
Below is a relaxed structure of Tm2PdRh, with properties calculated at the r²SCAN level.

Structure (extended XYZ):
```
4
Lattice="0.0000 3.3946 3.3946 3.3946 0.0000 3.3946 3.3946 3.3946 0.0000" Properties=species:S:1:pos:R:3 pbc="T T T"
Tm 1.6973 1.6973 1.6973
Tm 5.0919 5.0919 5.0919
Pd 0.0000 0.0000 0.0000
Rh 3.3946 3.3946 3.3946
```

DFT total energy ... -121.34 eV/cell
Symmetry ... No. 225


(5)
Below is a relaxed structure of U2Pd3Rh3, with properties calculated at the r²SCAN level.

Structure (extended XYZ):
```
8
Lattice="3.9305 0.0000 0.0000 0.0000 4.0492 0.0000 0.0000 0.0000 8.3763" Properties=species:S:1:pos:R:3 pbc="T T T"
U 0.0000 0.0000 2.0368
U 0.0000 0.0000 6.3395
Pd 0.0000 2.0246 0.0000
Pd 0.0000 2.0246 4.1881
Pd 1.9653 0.0000 4.1881
Rh 1.9653 0.0000 0.0000
Rh 1.9653 2.0246 2.0997
Rh 1.9653 2.0246 6.2766
```

DFT total energy ... -306.62 eV/cell
Symmetry ... No. 47


(6)
Below is a relaxed structure of Yb2PdRh, with properties calculated at the r²SCAN level.

Structure (extended XYZ):
```
4
Lattice="0.0000 3.3817 3.3817 3.3817 0.0000 3.3817 3.3817 3.3817 0.0000" Properties=species:S:1:pos:R:3 pbc="T T T"
Yb 1.6908 1.6908 1.6908
Yb 5.0725 5.0725 5.0725
Pd 0.0000 0.0000 0.0000
Rh 3.3817 3.3817 3.3817
```

DFT total energy ... -124.29 eV/cell
Symmetry ... No. 225

----------

Material: NaMnH3O3
Method: DFT, GGA+U
State: optimized geometry

```
data_NaMnH3O3
_symmetry_space_group_name_H-M 'P 42 b c'
_symmetry_Int_Tables_number 106
_cell_length_a 11.5135
_cell_length_b 11.5135
_cell_length_c 6.0569
_cell_angle_alpha 90.00
_cell_angle_beta 90.00
_cell_angle_gamma 90.00
loop_
_symmetry_equiv_pos_as_xyz
'x,y,z'
'-y,x,z+1/2'
'-x,-y,z'
'y,-x,z+1/2'
'-x+1/2,y+1/2,z'
'y+1/2,x+1/2,z+1/2'
'x+1/2,-y+1/2,z'
'-y+1/2,-x+1/2,z+1/2'
loop_
_atom_site_label
_atom_site_type_symbol
_atom_site_fract_x
_atom_site_fract_y
_atom_site_fract_z
Na1 Na 0.0638 0.1176 0.0000
Mn1 Mn 0.0711 0.2896 0.4706
H1 H 0.1234 0.6522 0.2913
H2 H 0.1231 0.8387 0.1810
H3 H 0.2146 0.2419 0.1455
O1 O 0.0836 0.1244 0.6126
O2 O 0.1017 0.7086 0.4039
O3 O 0.1423 0.2877 0.1484
```

- calculated volume (A^3/atom) = 12.5
- VASP energy (Ha/atom) = -0.2009
- DFT formation energy (meV per atom) = -1496